The Real Price of Packaging

    The Real Price of Packaging: Strategic Considerations in Packaging Costs

# Quantum chemistry results, kept here for reference
+++
No. 1
ORCA calculation (ωB97M-V/def2-TZVPD) on C3H9N3OS in the gas phase.

CARTESIAN COORDINATES (ANGSTROEM)
1 C -1.990 -1.099 1.035
2 C -1.472 -0.705 -0.483
3 C -0.097 -0.316 -0.050
4 H -1.959 -0.203 1.712
5 H -1.199 -1.790 1.358
6 H -3.060 -1.582 1.193
7 H -1.538 -1.650 -0.914
8 H -2.041 0.343 -2.202
9 H -1.835 1.369 -0.651
10 H -1.203 0.937 1.003
11 H 0.796 2.430 0.656
12 H 2.234 0.461 1.008
13 N -2.179 0.370 -1.042
14 N -0.208 0.904 0.852
15 N 0.938 -0.724 -0.551
16 O 0.149 2.003 0.028
17 S 2.507 -0.467 -0.076

E_HOMO	-8.697	eV
relative energy (zero: lowest compared OMol25 entry of this formula, charge and spin)	452.54	kJ/mol
gap between HOMO and LUMO	9.32	eV
calculated total energy	-20605.432	eV

And the Mulliken charges, in e, turn out to be: C -0.95; C -0.54; C 0.78; H 0.24; H 0.37; H 0.30; H 0.44; H 0.29; H 0.35; H 0.28; H 0.37; H 0.13; N -0.60; N -0.53; N -0.44; O -0.37; S -0.13

***

No. 2
ORCA calculation (ωB97M-V/def2-TZVPD) on 2 unconnected molecules or ions with the total composition C14H16O.

CARTESIAN COORDINATES (ANGSTROEM)
1 C -2.356 2.133 0.408
2 C 0.546 2.940 2.857
3 C 0.671 1.681 3.349
4 C -0.527 3.062 2.003
5 C -1.129 1.954 1.389
6 C 0.192 0.491 2.820
7 C -0.724 0.592 1.683
8 H 1.241 3.680 3.312
9 H 1.238 1.735 4.375
10 H -0.968 4.140 1.882
11 H 0.491 -0.484 3.135
12 H -3.011 1.222 0.436
13 H -2.223 2.314 -0.584
14 H -1.061 -0.081 0.993
15 H -2.976 3.028 0.800
16 C 0.062 -4.022 -0.988
17 C 0.552 -0.335 -1.087
18 C 0.303 -1.593 -0.636
19 C 0.939 -0.014 -2.407
20 C 0.354 -2.670 -1.537
21 C 1.140 -1.113 -3.256
22 C 0.812 -2.420 -2.839
23 O 1.110 1.356 -2.590
24 H 0.356 0.500 -0.376
25 H 0.064 -1.791 0.355
26 H 2.037 1.512 -3.010
27 H 1.702 -1.082 -4.205
28 H 1.029 -4.565 -0.550
29 H -0.079 -4.725 -1.930
30 H 1.048 -3.302 -3.364
31 H -0.831 -4.140 -0.436

E_HOMO (spin up / spin down)	0.734 / -3.698	eV
relative energy (zero: lowest compared OMol25 entry of this formula, charge and spin)	261.22	kJ/mol
total charge	-1
gap between HOMO and LUMO (spin up / spin down)	2.27 / 6.62	eV
calculated total energy	-16821.204	eV
spin multiplicity	2

And the Mulliken charges, in e, turn out to be: C -1.50; C -0.81; C 0.17; C -0.12; C 0.88; C -1.16; C -1.08; H 0.29; H 0.15; H 0.12; H 0.30; H 0.31; H 0.35; H 0.85; H 0.34; C -1.32; C 0.20; C -0.71; C -0.19; C 0.68; C -0.49; C -0.81; O -0.45; H 0.49; H 0.58; H 0.31; H 0.28; H 0.26; H 0.31; H 0.36; H 0.40

***

No. 3
ORCA calculation (ωB97M-V/def2-TZVPD) on a molecular structure, C33H65Li3O11.

CARTESIAN COORDINATES (ANGSTROEM)
1 Li 32.382 -23.816 -23.046
2 Li 31.341 -25.307 -20.910
3 Li 30.823 -22.352 -20.758
4 O 28.272 -24.480 -23.359
5 C 29.277 -24.089 -22.559
6 O 29.205 -23.091 -21.789
7 O 30.362 -24.681 -22.634
8 H 28.623 -25.248 -23.816
9 C 30.997 -29.508 -22.224
10 C 32.370 -29.449 -21.475
11 C 32.574 -27.931 -21.238
12 O 31.466 -27.310 -21.855
13 C 30.363 -28.135 -21.983
14 H 30.489 -30.412 -21.888
15 H 31.258 -29.588 -23.279
16 H 33.080 -29.864 -22.191
17 H 32.333 -29.911 -20.489
+++

    1000 300 ITB Packaging

      Part 4: Strategic Considerations


      “To improve is to change; to be perfect is to change often.”

      —Winston Churchill


      You are reading Part 4, the final piece of our series on The Real Price of Packaging, outlining 15 key aspects of packaging costs. In Part 1: Direct Costs, we explored the immediate, tangible packaging creation and implementation expenses; in Part 2: Indirect Costs, we looked at some of the necessary expenditures indirectly related to the packaging process, highlighting areas that, while not immediately apparent, significantly impact the overall cost and efficiency of packaging; Part 3: Operational Efficiency, looked at opportunities for enhancing efficiency and reducing operating costs.

      In this section, we’ll think about the importance of long-term planning and decision-making in packaging costs, ensuring businesses consider their packaging choices’ broader financial and branding implications.

      decrease cost

      About this series:

      • Each part is structured to stand alone while also contributing to a broader understanding when read as a whole.
      • Provides comprehensive analysis and actionable strategies in each category.
      • A holistic view of packaging costs that balances immediate needs with long-term strategic planning.


      Factors influencing the long-term planning and decision-making

      Design and branding are essential in how customers perceive a product.

      Well-designed packaging can elevate a brand’s image, create a memorable unboxing experience, and even justify a higher price point. But it’s not just about aesthetics; it’s about communicating the brand’s values and story. However, the design and branding of packaging are significant contributors to its overall costs and should be weighed carefully.

      Analysis Approach:
      • Market and Consumer Research: Understand your target audience and market trends to align your packaging design accordingly.
      • Competitor Analysis: Study your competitors’ packaging to identify what works well in your industry and how to differentiate your brand.
      • Cost-Benefit Analysis: Evaluate the ROI of investing in high-quality design and branding against potential sales and brand loyalty increases.
      Cost Reduction Strategies:
      • Simplified Designs: Opt for simpler, less costly designs that still align with your brand identity. This can also speed up the production process.
      • Economical Printing Techniques: Research and utilize cost-effective printing methods that maintain quality but lower the overall expense.
      • Reusable Designs: Create timeless designs that can be used for longer periods, reducing the need for frequent redesigns.
      • Digital Prototyping: Use digital mockups to finalize designs before committing to physical prototypes, saving on material and printing costs.
      • Collaborative Design Process: Work closely with packaging designers and manufacturers to ensure that the design is aesthetically pleasing but also cost-effective and practical to produce.
      Who to Consult:

      💰 Financial Analyst
      📦 Secondary Packaging Supplier

      Sustainability in packaging is increasingly important, driven by consumer awareness and regulatory pressures.

      Eco-friendly packaging can enhance brand image and customer loyalty, but some choices cost more than others. Sustainability initiatives in packaging must consider both environmental impact and the associated costs. Finding the right balance is critical to meeting environmental goals and maintaining financial viability. For more information, see Sustainable Packaging.

      Analysis Approach:
      • Sustainability Audit: Assess current packaging for environmental impact, identifying areas for improvement.
      • Material Research: Investigate sustainable packaging materials, such as biodegradable, recycled or recyclable, or plant-based options, and compare their costs and benefits.
      • Lifecycle Analysis: Evaluate the entire lifecycle of packaging materials, from production to disposal, to understand their true environmental impact.
      Cost Reduction Strategies:
      • Efficient Design: Design packaging to minimize material use while maintaining functionality, reducing both costs and environmental impact.
      • Long-Term Investments: Consider the long-term cost savings of sustainable packaging, such as reduced waste disposal fees and potential tax incentives.
      • Supplier Collaboration: Work with suppliers to find cost-effective, sustainable materials, possibly leveraging bulk purchasing agreements.
      • Customer Engagement: Educate customers about the value of sustainable packaging, potentially justifying a slight premium for eco-friendly options.
      • Regulatory Compliance: Stay ahead of environmental regulations to avoid future compliance costs and capitalize on any available incentives for early adoption.
      Who to Consult:

      🌿 Sustainability Consultant
      📦 Secondary Packaging Supplier

      Market conditions, including material costs, labor availability, consumer trends, and global economic factors, significantly influence packaging strategies.

      Understanding and adapting to these conditions can lead to cost savings and competitive advantages in the overall price of packaging. Fluctuations in raw material prices, labor markets, and consumer preferences require businesses to be agile and responsive in their packaging decisions.

      Analysis Approach:
      • Economic Trend Analysis: Monitor economic trends that affect packaging costs, such as raw material prices, labor market conditions, and trade policies.
      • Consumer Behavior Research: Stay informed about consumer preferences and environmental concerns that can drive changes in packaging demands.
      • Supply Chain Resilience Evaluation: Assess the resilience of your packaging supply chain against market disruptions, such as global pandemics or trade conflicts.
      Cost Reduction Strategies:
      • Flexible Packaging Solutions: Develop packaging designs that can quickly adapt to material availability or cost changes.
      • Diversified Supplier Network: Create a diversified network of suppliers to mitigate the risk of disruptions and take advantage of competitive pricing.
      • Responsive Pricing Strategy: Implement a pricing strategy that reflects changes in packaging costs, balancing competitiveness with profitability.
      • Sustainable Practices Adoption: Invest in sustainable packaging that appeals to environmentally conscious consumers and offers long-term cost savings.
      • Efficiency Enhancements: Continuously seek ways to enhance operational efficiency in packaging processes to offset market-induced cost increases.
      Who to Consult:

      🔄 Supply Chain Analyst
      📦 Secondary Packaging Supplier

      Find out how ITB Packaging solutions can reduce the costs of your packaging operations while enhancing supply chain resilience, product protection, and customer perception.


      This completes our 4 part series on The Real Price of Packaging and underscores the importance of a holistic review and analysis in understanding the full scope of packaging costs. By considering all facets of packaging, from direct costs to strategic considerations, companies can make informed decisions that optimize expenses and align with broader business objectives and market demands. This comprehensive approach is essential for any business looking to enhance its packaging efficiency and overall success.

      The Real Price of Packaging Series: